Wanted =
Say how many lines of the notes further below hold the word "from", as a bare number.

Listing =
<<<
1.
The following is a calculated X-ray diffraction stick pattern of ReO2F3. It was derived from a DFT-relaxed cell (GGA-PBE, Alexandria), using λ = 1.5418 Å (Cu Kα).
Kinematic intensities with the Lorentz-polarization factor, no thermal factor.

Cell and atoms:
```
data_ReO2F3
_chemical_formula_sum 'Re16 O32 F48'
_symmetry_space_group_name_H-M 'C m c e'
_symmetry_Int_Tables_number 64
_symmetry_space_group_name_Hall '-C 2ac 2'
_cell_length_a 11.4950
_cell_length_b 10.5166
_cell_length_c 13.8840
_cell_angle_alpha 90.00
_cell_angle_beta 90.00
_cell_angle_gamma 90.00
loop_
_atom_site_label
_atom_site_type_symbol
_atom_site_fract_x
_atom_site_fract_y
_atom_site_fract_z
Re1 Re 0.0000 0.1658 0.1761
Re2 Re 0.2399 0.0000 0.5000
O1 O 0.1155 0.2292 0.2360
O2 O 0.1469 0.0660 0.4185
F1 F 0.0000 0.0052 0.2339
F2 F 0.0000 0.2218 0.5711
F3 F 0.1154 0.0671 0.0814
F4 F 0.2239 0.1468 0.9302
```

Main lines, in order of rising 2θ (5° ≤ 2θ ≤ 70°):
hkl 1 1 2, 2θ = 17.14°, I = 56.6
hkl 0 2 1, 2θ = 18.04°, I = 30.6
hkl 2 0 2, 2θ = 20.06°, I = 100.0
hkl 0 2 2, 2θ = 21.20°, I = 53.6
hkl 2 2 0, 2θ = 22.92°, I = 47.2
hkl 2 2 1, 2θ = 23.81°, I = 29.7
hkl 2 2 2, 2θ = 26.32°, I = 21.7
hkl 3 1 2, 2θ = 27.92°, I = 19.4
hkl 3 3 3, 2θ = 39.92°, I = 21.3
hkl 4 2 4, 2θ = 44.40°, I = 17.3

2.
The following is a calculated X-ray diffraction stick pattern of ReOF5. It was derived from a DFT-relaxed cell (GGA-PBE, Alexandria), using λ = 1.5418 Å (Cu Kα).
Kinematic intensities with the Lorentz-polarization factor, no thermal factor.

Cell and atoms:
```
data_ReOF5
_chemical_formula_sum 'Re2 O2 F10'
_symmetry_space_group_name_H-M 'P -1'
_symmetry_Int_Tables_number 2
_cell_length_a 5.5560
_cell_length_b 5.9902
_cell_length_c 7.2504
_cell_angle_alpha 80.57
_cell_angle_beta 73.45
_cell_angle_gamma 77.31
loop_
_symmetry_equiv_pos_as_xyz
'x,y,z'
'-x,-y,-z'
loop_
_atom_site_label
_atom_site_type_symbol
_atom_site_fract_x
_atom_site_fract_y
_atom_site_fract_z
Re1 Re 0.0000 0.0000 0.0000
Re2 Re 0.5000 0.5000 0.5000
O1 O 0.2136 0.5117 0.6914
F1 F 0.1410 0.0266 0.7370
F2 F 0.2114 0.7191 0.0245
F3 F 0.2410 0.1482 0.0324
F4 F 0.3532 0.7752 0.3707
F5 F 0.3716 0.3245 0.3680
```

Main lines, in order of rising 2θ (5° ≤ 2θ ≤ 70°):
hkl 1 0 1, 2θ = 18.43°, I = 100.0
hkl 0 1 1, 2θ = 18.86°, I = 91.3
hkl 1 1 0, 2θ = 20.65°, I = 72.0
hkl 0 1 -1, 2θ = 21.02°, I = 66.4
hkl 1 0 -1, 2θ = 23.83°, I = 52.2
hkl 1 -1 0, 2θ = 24.89°, I = 41.7
hkl 0 0 2, 2θ = 25.79°, I = 35.7
hkl 1 1 2, 2θ = 28.00°, I = 27.4
hkl 2 1 1, 2θ = 33.34°, I = 18.7
hkl 1 -2 1, 2θ = 40.00°, I = 31.0

3.
The following is a calculated X-ray diffraction stick pattern of TmReO4F. It was derived from a DFT-relaxed cell (GGA-PBE, Alexandria), using λ = 1.5418 Å (Cu Kα).
Kinematic intensities with the Lorentz-polarization factor, no thermal factor.

Cell and atoms:
```
data_TmReO4F
_chemical_formula_sum 'Tm4 Re4 O16 F4'
_symmetry_space_group_name_H-M 'C 1 2/m 1'
_symmetry_Int_Tables_number 12
_cell_length_a 9.5887
_cell_length_b 6.9979
_cell_length_c 6.9868
_cell_angle_alpha 90.00
_cell_angle_beta 107.12
_cell_angle_gamma 90.00
loop_
_symmetry_equiv_pos_as_xyz
'x,y,z'
'-x,-y,-z'
'-x,y,-z'
'x,-y,z'
'x+1/2,y+1/2,z'
'-x+1/2,-y+1/2,-z'
'-x+1/2,y+1/2,-z'
'x+1/2,-y+1/2,z'
loop_
_atom_site_label
_atom_site_type_symbol
_atom_site_fract_x
_atom_site_fract_y
_atom_site_fract_z
Tm1 Tm 0.1984 0.0000 0.0867
Re1 Re 0.1464 0.5000 0.2959
O1 O 0.0449 0.5000 0.7666
O2 O 0.2115 0.3188 0.1489
O3 O 0.2454 0.5000 0.5504
F1 F 0.0072 0.0000 0.8283
```

Main lines, in order of rising 2θ (5° ≤ 2θ ≤ 70°):
hkl 0 0 1, 2θ = 13.26°, I = 34.5
hkl 2 0 0, 2θ = 19.37°, I = 48.8
hkl 1 1 1, 2θ = 22.56°, I = 35.9
hkl 0 2 0, 2θ = 25.46°, I = 96.8
hkl 2 0 1, 2θ = 26.64°, I = 63.8
hkl 1 1 -2, 2θ = 28.62°, I = 100.0
hkl 3 1 -1, 2θ = 31.13°, I = 51.1
hkl 2 2 1, 2θ = 37.18°, I = 38.2
hkl 1 1 3, 2θ = 46.58°, I = 33.1
hkl 1 3 -2, 2θ = 46.87°, I = 32.8

4.
>>>

Worked solution =
3